**Wanted:**
Next, search the listing further down for the word "states" and quote each line that has it.
**File:**
<<<
## DyHoCo10 (PBE)

Data for a relaxed DyHoCo10 crystal.

Cell: 3.946 4.909 8.511 Å, 90.00 90.00 90.00°
Fractional positions:
Co: 0.500 0.750 0.750
Co: 0.000 0.500 0.168
Co: 0.500 0.250 0.250
Co: 0.500 0.750 0.250
Co: 0.000 0.000 0.333
Co: 0.500 0.500 0.000
Co: 0.000 0.000 0.667
Co: 0.500 0.250 0.750
Co: 0.000 0.500 0.832
Co: 0.500 0.000 0.500
Dy: 0.000 0.000 0.000
Ho: 0.000 0.500 0.500

Computed properties:
As for the formation energy: -115 meV/atom. Its total energy is -6.801 eV per atom. The space group is Pmmm.


ZrP2SCl | GGA-PBE | optimized geometry

```
ZrP2SCl
1.0
5.126 0.000 0.000
0.000 5.126 0.000
0.000 0.000 4.835
Zr P S Cl
1 2 1 1
direct
0.000 0.000 0.000
0.000 0.500 0.000
0.500 0.000 0.000
0.500 0.500 0.500
0.000 0.000 0.500
```

Computed properties:
Its calculated volume is 25.41 A^3/atom. The value obtained for the calculated density is 2885 kg/m3. The total DFT energy (no corrections) comes out at -4.750 eV/atom. Its symmetry is P4/mmm. The value obtained for the excess energy over the best structure of this formula in the dataset is 103.8 meV/atom. As for the density of states at the Fermi level: 0.806 states/eV per atom.
>>>
**Worked solution:**
Its calculated volume is 25.41 A^3/atom. The value obtained for the calculated density is 2885 kg/m3. The total DFT energy (no corrections) comes out at -4.750 eV/atom. Its symmetry is P4/mmm. The value obtained for the excess energy over the best structure of this formula in the dataset is 103.8 meV/atom. As for the density of states at the Fermi level: 0.806 states/eV per atom.